Golden Ticket Winners all, the Finalists for the 2013 Orcas Has Talent Competition on Saturday, Feb. 9

Golden Ticket Winners all, the Finalists for the 2013 Orcas Has Talent Competition on Saturday, Feb. 9. From left, the youth band Allmost Canadian, Greg Books, Kellen Comrie, Matthew Laslo White, Cali Bagby, Conrad Wrobel, Jake Perrine and Yuko Horikawa.

By Margie Doyle

Materials data, as found in the file >
- - -
(1)
Entry from Alexandria via LeMat-Bulk: crystalline Al2InSn at its relaxed geometry (PBE).

Results
symmetry	No. 122
E_form	0.2275	eV per atom

Cell lengths 7.8975, 7.8975, 6.3502 Å; angles 51.55, 51.55, 90.00 degrees
Fractional coordinates of all 8 atoms:
Al 0.3750 0.3634 0.7500
Al 0.1134 0.6250 0.2500
Al 0.6366 0.1250 0.2500
Al 0.8750 0.8866 0.7500
Sn 0.0000 0.0000 0.0000
Sn 0.7500 0.2500 0.5000
In 0.2500 0.7500 0.5000
In 0.5000 0.5000 0.0000

(2)
Entry from Alexandria via LeMat-Bulk: crystalline CaTe2Pd2 at its relaxed geometry (PBE).

Results
symmetry	No. 139
formation energy without anion corrections	-0.64	eV/atom

Cell lengths 5.2908, 5.2908, 5.8042 Å; angles 62.89, 62.89, 90.00 degrees
Fractional coordinates of all 5 atoms:
Te 0.2500 0.7500 0.5000
Te 0.7500 0.2500 0.5000
Pd 0.6638 0.6638 0.6725
Pd 0.3362 0.3362 0.3275
Ca 0.0000 0.0000 0.0000

(3)
Entry from Alexandria via LeMat-Bulk: crystalline TaRe3H at its relaxed geometry (PBE).

Results
symmetry	No. 221

Cell lengths 4.7851, 4.7851, 4.7851 Å; angles 90.00, 90.00, 90.00 degrees
Fractional coordinates of all 5 atoms:
Re 0.0000 0.5000 0.0000
Re 0.5000 0.0000 0.0000
Re 0.0000 0.0000 0.5000
H 0.5000 0.5000 0.5000
Ta 0.0000 0.0000 0.0000

Electronic total energy values, unit eV/atom, following the record order: -3.33; -4.37; -7.37.

* * * * *

(1)
Compound: LaEuNi2
Source: Alexandria
Functional: PBE
Structure: optimized geometry

The space group is Fm-3m (No. 225) and the conventional cell measures 7.023, 7.023 and 7.023 Å, with angles of 90.00, 90.00 and 90.00 degrees. Symmetry generates all atoms from La at (0.000, 0.000, 0.000), Eu at (0.000, 0.000, 0.500) and Ni at (0.250, 0.250, 0.250).

The total moment comes out at 7.07 μB/f.u. As for the density of states at the Fermi level: 2.061 states/eV per atom. The raw total energy comes out at -27.43 eV/f.u. The value obtained for the energy of formation from the pure elements is -0.17 eV/atom. Its energy relative to the lowest polymorph listed for this composition is 8 meV per atom.

***

(2)
Compound: LiMg2Ru
Source: Alexandria
Functional: PBE
Structure: optimized geometry

The space group is I-42d (No. 122) and the conventional cell measures 3.904, 3.904 and 18.474 Å, with angles of 90.00, 90.00 and 90.00 degrees. Symmetry generates all atoms from Li at (0.000, 0.000, 0.000), Mg at (0.240, 0.250, 0.625) and Ru at (0.000, 0.000, 0.500).

The total moment comes out at 0.00 μB/f.u. As for the density of states at the Fermi level: 0.357 states/eV per atom. The raw total energy comes out at -12.58 eV/f.u. The value obtained for the energy of formation from the pure elements is 0.45 eV/atom.

***

(3)
Compound: PuHfTh2As4
Source: Alexandria
Functional: PBE
Structure: optimized geometry
- - -

Orcas “grows” phenomenal talent, and 13 performers gave the audience a real treat before winning Golden Tickets to the final competition of “Orcas Has Talent” on Saturday, February 9 at Orcas Center.

== Here the piece breaks off for materials data ==
<<<
(1)
Material: FeAsS2Cl
Method: DFT, PBE
State: relaxed

```
FeAsS2Cl
1.0
-0.363 3.016 -3.765
-4.330 1.461 1.588
2.086 3.422 2.540
S Fe Cl As
2 1 1 1
Direct
0.500 0.000 0.000 S
0.000 0.500 0.000 S
0.500 0.500 0.500 Fe
0.000 0.000 0.500 Cl
0.000 0.000 0.000 As
```

Spin magnetization   3.844 μB/f.u.
Energy above the lowest structure with this stoichiometry   0.265 eV per atom
VASP energy   -3.997 eV per atom

=====

(2)
Material: FeAsSCl2
Method: DFT, PBE
State: relaxed

```
FeAsSCl2
1.0
-1.581 4.606 -0.760
-3.960 -0.898 2.794
2.479 1.511 3.999
S As Fe Cl
1 1 1 2
Direct
0.000 0.000 0.500 S
0.000 0.000 0.000 As
0.500 0.500 0.500 Fe
0.000 0.500 0.000 Cl
0.500 0.000 0.000 Cl
```

Spin magnetization   3.810 μB/f.u.
Energy above the lowest structure with this stoichiometry   0.238 eV per atom
VASP energy   -3.702 eV per atom

=====

(3)
Material: FeAsS2Cl
Method: DFT, PBE
State: relaxed

```
FeAsS2Cl
1.0
-3.646 -1.365 2.125
-0.813 -2.898 -3.258
2.423 -3.110 2.161
S Fe Cl As
2 1 1 1
Direct
0.500 0.000 0.000 S
0.000 0.500 0.000 S
0.000 0.000 0.000 Fe
0.000 0.000 0.500 Cl
0.500 0.500 0.500 As
```

Spin magnetization   0.001 μB/f.u.
Energy above the lowest structure with this stoichiometry   0.000 eV per atom
VASP energy   -4.262 eV per atom

=====

(4)
Material: FeAsSCl2
Method: DFT, PBE
State: relaxed

```
FeAsSCl2
1.0
-2.020 2.688 -3.018
1.221 -2.810 -3.321
-3.819 -2.281 0.525
Cl S Fe As
2 1 1 1
Direct
0.000 0.500 0.000 Cl
0.500 0.000 0.000 Cl
0.000 0.000 0.500 S
0.000 0.000 0.000 Fe
0.500 0.500 0.500 As
```

Spin magnetization   1.590 μB/f.u.
Energy above the lowest structure with this stoichiometry   0.000 eV per atom
VASP energy   -3.940 eV per atom

=====

(5)
Material: ScFeAsCl2
Method: DFT, PBE
State: relaxed

```
ScFeAsCl2
1.0
4.418 0.000 0.000
0.000 5.326 0.000
0.000 0.000 4.418
Cl As Sc Fe
2 1 1 1
Direct
0.000 0.000 0.500 Cl
0.500 0.000 0.000 Cl
0.000 0.500 0.000 As
0.500 0.500 0.500 Sc
0.000 0.000 0.000 Fe
```

Spin magnetization   2.593 μB/f.u.
VASP energy   -4.917 eV per atom

=====

(6)
Material: TlFeAs2Cl
Method: DFT, PBE
State: relaxed

```
TlFeAs2Cl
1.0
-2.635 -4.301 -1.552
1.259 -1.962 3.298
-4.266 1.668 2.620
As Fe Tl Cl
2 1 1 1
Direct
0.500 0.000 0.000 As
0.000 0.000 0.500 As
0.000 0.500 0.000 Fe
0.500 0.500 0.500 Tl
0.000 0.000 0.000 Cl
```

Spin magnetization   2.866 μB/f.u.
VASP energy   -3.513 eV per atom

* * * * *

20
Lattice="10.274 0.000 0.000 -3.425 9.686 0.000 -3.425 -4.843 8.389" Properties=species:S:1:pos:R:3 comment="Cs4InPb3Br12 PBE-GGA optimized geometry" raw_formation_energy_kj_per_mol_fu=-2424.7 spacegroup="Im-3m (229)" magnetic_moment_mub_per_fu=0.000 pbc="T T T"
Pb -3.425 2.422 4.194
Br -1.676 1.185 2.052
Br 5.174 7.317 0.000
Br 1.712 -1.211 6.292
Cs -1.712 4.843 0.000
In 0.000 0.000 0.000
>>>

The Golden Ticket winners were announced as:

  • Yuko Horikawa, for her poignant delivery of a Japanese song of heartbreak during apple blossom season, with a catch in her throat reminiscent of Patsy Cline;
  • Jake Perrine, for his beyond-exuberant cover of Springsteen’s “Born to Run” that included an impersonation of the great horn player, Clarence Clemons;
  • Conrad Wrobel, for his stand-up routine of ” the years of  bad car luck” and “Cookie Monster goes healthy” with uncanny impersonations of Kermit the Frog, Count Dracula and Cookie himself;
  • Cali Bagby, for her exquisitely beautiful and poised rendition of  the Puccini aria, “O mio babbino caro;”
  • Kellen Comrie, for his “unprepared” improvisation on the keyboard, the arpeggios grabbed out of the energy of the Grange;
  • Greg Books, for his “subtle, rhythmical and courageous” interpretation of “Taxman” on his super-20 baritone sax;
  • Matthew Laslo White, for his unflappable-in-the-face-of glitches, magical prediction trick;
  • Allmost Canadian, made up of Julia and Christian Bailey, Emmy and Lisa Carter, Kellen Comrie, and Brynna Gregg, for their rambunctious delivery of “Some Nights” by Fun.

“Mentor-Judges” Gene Nery, Susan Osborn and Bob Shipstad commented on each act following audience response to all acts, including contestants:

+++
No. 1
First-principles (GGA-PBE) data for crystalline LaMn2Cd at its relaxed geometry, as listed in Alexandria.

Unit cell a=4.931 b=4.931 c=6.019 alpha=79.16 beta=79.16 gamma=38.25
Last column: magnetic moment on the atom in μB.
Atoms (fractional coordinates):
1 La 0.250 0.250 0.250  -0.31
2 Mn 0.007 0.007 0.933  3.56
3 Cd 0.750 0.750 0.750  -0.06
4 Mn 0.493 0.493 0.567  3.56

Computed properties:
Energy relative to the elements (kJ/mol of formula units): 148.8
Final energy (eV per cell): -22.640
Crystal system: monoclinic

***

No. 2
First-principles (GGA-PBE) data for crystalline KSrRu2 at its relaxed geometry, as listed in Alexandria.

Unit cell a=4.145 b=4.141 c=5.077 alpha=90.00 beta=90.00 gamma=90.00
Last column: magnetic moment on the atom in μB.
Atoms (fractional coordinates):
1 K 0.000 0.500 0.500  -0.02
2 Sr 0.500 0.000 0.500  -0.04
3 Ru 0.000 0.000 0.000  1.14
4 Ru 0.500 0.500 0.000  1.14

Computed properties:
Energy relative to the elements (kJ/mol of formula units): 446.8
Final energy (eV per cell): -16.700
Crystal system: tetragonal
E above lowest polymorph (meV/atom): 755

***

No. 3
First-principles (GGA-PBE) data for crystalline NpGa2Au5 at its relaxed geometry, as listed in Alexandria.

Unit cell a=3.998 b=6.847 c=6.847 alpha=65.73 beta=73.02 gamma=73.02
Last column: magnetic moment on the atom in μB.
Atoms (fractional coordinates):
1 Au 0.000 0.500 0.500  -0.01
2 Au 0.634 0.157 0.574  -0.01
3 Au 0.634 0.574 0.157  -0.01
4 Ga 0.753 0.747 0.747  -0.01
5 Au 0.366 0.843 0.426  -0.01
6 Ga 0.247 0.253 0.253  -0.01
7 Np 0.000 0.000 0.000  4.01
8 Au 0.366 0.426 0.843  -0.01

Computed properties:
Energy relative to the elements (kJ/mol of formula units): -121.4
Final energy (eV per cell): -36.639
Crystal system: orthorhombic
E above lowest polymorph (meV/atom): 0

***

- Which of these has the lowest energy relative to the elements?
  NpGa2Au5

***

- Number 1 is which compound?
  LaMn2Cd

* * * * *

Computed, not measured: a relaxed Rb2HS2O6 crystal at the PBE level of DFT.

Output
Density = 2.554 g cm⁻³
Calculated volume = 215.9 Å³/cell
SG = C2/m, No. 12
Raw total energy = -5.2251 eV per atom
Crystal system = monoclinic

Unit cell a=6.0509 b=6.4061 c=7.0400 alpha=112.85 beta=90.00 gamma=118.18
Fractional coordinates of all 11 atoms:
Rb1 0.7032 0.4065 0.2265
H1 0.5000 0.0000 0.5000
Rb2 0.2968 0.5935 0.7735
O1 0.8588 0.7176 0.6928
S1 0.0002 0.0005 0.1559
S2 0.9998 0.9995 0.8441
O2 0.2740 0.1390 0.8414
O3 0.7260 0.8610 0.1586
O4 0.1349 0.8610 0.1586
O5 0.1412 0.2824 0.3072
O6 0.8651 0.1390 0.8414

* * * * *

The following is a DFT calculation (GGA+U) of a relaxed structure of PuMnCoO6.

Lattice parameters (Å, degrees): 5.0757 5.0757 9.4589 90.00 90.00 120.00
Site moments in Bohr magnetons follow the coordinates.
Positions (direct):
Pu  0.3333  0.6667  0.2500  1.80
Pu  0.6667  0.3333  0.7500  1.80
Mn  0.0000  0.0000  0.0000  4.53
Mn  0.0000  0.0000  0.5000  4.53
Co  0.6667  0.3333  0.2500  0.10
Co  0.3333  0.6667  0.7500  0.10
+++
### End of the calculated crystals

  • Marlene Dickey, whose version of Joni Mitchell’s “All I Want” was polished, personal and heartwarming;
  • Kelsey Whitaker, who  tackled the tricky spoken-song “I Won’t Give Up” in a “graceful and beautiful way” as Gene Nery described it;
  • KT Laslo, 2009 Orcas Idol winner, who sang “Dock of the Bay” with a courage and confidence and a cry of the seagull in her voice;
  • Mike Speece, who introduced “Cat’s in the Cradle” with the story of how its appeal takes on new significance with every generation of his life.

Last night’s show was emceed by John Clancy, and organized for Orcas Island Prevention Partnership (OIPP) under the direction of Donna Laslo. The annual competition is now in its 8th year, and Julie Pinardi, OIPP board member and Point Blank High School Club advisor, took to the stage last night to  thank the community for its support of “Orcas Has Talent’ in sustaining OIPP’s work year-round in youth leadership and risk prevention.

In her remarks, Donna Laslo thanked those behind the scenes: Marcia Gillingham, Stage Manger, Ray Doss on lighting, Freddie  Hinckle on sound, Wendy Shinstine on concessions, Jeanne Beck and Julie Pinardi backstage, Rita Bailey, Technical Manager, and Cheryl Kummer on tickets. “We’re maxing out the Grange,” she said, in support of OIPP and the community “for modeling leadership through creativity”

Tickets to the always sold-out, overflow event go on sale at Darvill’s Bookstore on Monday afternoon, Jan. 21. Note: Unlike most Orcas Center shows, Orcas Has Talent begins at 6:30 p.m. For more information, email